
Hunting The Godkiller [Dropped]

TLDR: Famous detective and psychologist gets reincarnated to hunt down a serial killer in a fantasy world. [Epic fantasy with well thought out magic system and world map] Arthur Hayes was a detective; those who had worked with him would call him the best in the world. Over his 20 year long career, he has profiled and tracked down the most cunning of predators, often making use of the most abstract clues to hunt down his prey. His exploits had earned him legend status within the Bureau, and great fame without. Although these days, he wishes he had taken a simple desk job after concluding his service in the Military. When a deranged fan decided to create for him the perfect puzzle, Arthur's life was suddenly turned into a living hell. After four excruciating years of vague clues and false leads, he had finally tracked down his nemesis and exacted his vengeance, but not without being fatally wounded in the process. As he felt his life slip away, Arthur had only one wish; although he had never been religious, he wished that the afterlife was real, so that he may see his daughter once more. He closed his eyes and felt his pain melt away, only to find himself standing naked before the most beautiful woman he had ever laid eyes upon. And she seemed to have a proposition for him: "I will give you a new life with your daughter. In exchange, I need you to hunt someone down for me; someone who has killed a God." ............................. WSA 2023 Entry. Please leave comments and let me know what you think of my novel. I'll try to write a 2000 word chapter every day or two. I'm aiming for 5 a week atm as a base number. 20 powerstones = 1 more chapter (Powerstones from myself don't count towards this). Synopsis is work in progress. I will edit is as I release more chapters and get a better hold on what I want the plot to be. This will be a fantasy novel, where there is an overarching plot of a serial killer who mc needs to hunt down. This serial killer is an artifact, which has the soul of the God of Death trapped within, and mc needs to rescue this soul to save the world. Artifact meanwhile becomes stronger by murdering and absorbing the knowledge and skills of powerful individuals, its goal is to become the most powerful being in the world so no one can destroy it and release the God of Death. MC is in a race agaisnt time while the world collapses around him. The immediate plot will be regarding development of magical powers and mastering a certain set of skills. He will then try to build an International Spy Agency that will help him in his quest and control the international flow of information. The mc will be intelligent and rational, and use scientific thinking as much as possible. I draw inspiration from many different works, and will try to give credit where it is due. This novel is very much an experiment for me, and would love to listen to any and all feedback.

Ruizan · Fantasy
Not enough ratings
4 Chs

The Last Hunt

Arthur quickly adapted to the handling of his recently acquired vehicle. After his initial rush of adrenaline had mellowed, he was now a lot calmer and followed his target at a safe distance.

He tailed the black sedan as it left the city center, and drove across the East River towards the neighboring borough. By now, the sun was starting to rise, and several more cars could be seen on the road, which helped Arthur blend in.

He followed his target off the central avenue and down one of the many streets that led towards the docks. After a few more turns, the car eventually came to a stop in front of an old warehouse. Arthur could not slow down or stop to observe, as his target would then certainly figure out they were being followed, if they had not done so already.

He instead followed the garbage truck directly in front of him, which was signalling its intention to turn into a street to his left. Upon entering the street, Arthur brought his car to a stop, turning the engine off before he stepping out and jogging back to the road he had just left.

He peered around the corner to see that the sedan had disappeared from its previous location. Arthur cursed his luck, as he still had not gotten a look at the diver behind the car's tinted windows. He pulled out his revolver once more, confirming it was loaded before pocketing it again.

- - -
(1)
A plane-wave DFT calculation with GGA+U was carried out for an optimized crystal structure of V2Cu3H6O11.

- VASP energy: -0.2120 Ha/atom
- Calculated formation energy: -1.482 eV/atom
- ΔE to the lowest computed polymorph: 4 meV/atom
- Space group: Cc, No. 9
- Total moment: 6.00 μB/cell
- E (MP2020): -0.4605 Ry per atom

Unit cell a=5.952 b=8.979 c=10.039 alpha=70.36 beta=72.76 gamma=70.65
Element x y z (fractional)
H: 0.125 0.979 0.281
H: 0.332 0.604 0.954
H: 0.377 0.020 0.721
H: 0.615 0.479 0.781
H: 0.933 0.343 0.080
H: 0.387 0.878 0.560
H: 0.882 0.520 0.221
H: 0.645 0.843 0.580
H: 0.176 0.378 0.060
H: 0.856 0.143 0.426
H: 0.110 0.104 0.454
H: 0.575 0.643 0.926
O: 0.553 0.250 0.250
O: 0.898 0.655 0.522
O: 0.001 0.425 0.089
O: 0.308 0.096 0.787
O: 0.354 0.676 0.528
O: 0.947 0.750 0.750
O: 0.147 0.324 0.473
O: 0.682 0.910 0.233
O: 0.325 0.590 0.268
O: 0.817 0.090 0.768
O: 0.193 0.904 0.213
O: 0.809 0.596 0.287
O: 0.486 0.925 0.589
O: 0.926 0.155 0.022
O: 0.443 0.176 0.028
O: 0.603 0.344 0.479
O: 0.174 0.410 0.733
O: 0.013 0.060 0.421
O: 0.575 0.844 0.979
O: 0.690 0.404 0.713
O: 0.057 0.824 0.973
O: 0.506 0.560 0.921
Cu: 0.752 0.499 0.500
Cu: 0.503 0.752 0.247
Cu: 0.250 0.999 0.000
Cu: 0.001 0.749 0.255
Cu: 0.498 0.252 0.747
Cu: 0.996 0.249 0.755
V: 0.099 0.620 0.631
V: 0.850 0.880 0.870
V: 0.401 0.380 0.370
V: 0.650 0.120 0.131


(2)
A plane-wave DFT calculation with GGA+U was carried out for an optimized crystal structure of BaNdMgCo2O6.

- VASP energy: -0.2196 Ha/atom
- Calculated formation energy: -1.905 eV/atom
- ΔE to the lowest computed polymorph: 324 meV/atom
- Space group: Pmmm, No. 47
- Total moment: 5.70 μB/cell
- E (MP2020): -0.4887 Ry per atom

Unit cell a=3.778 b=5.570 c=7.786 alpha=90.00 beta=90.00 gamma=90.00
Element x y z (fractional)
Ba: 0.000 0.000 0.500
Co: 0.500 0.500 0.734
Co: 0.500 0.500 0.266
O: 0.500 0.000 0.200
O: 0.000 0.500 0.242
O: 0.500 0.500 0.500
O: 0.000 0.500 0.758
O: 0.500 0.500 0.000
O: 0.500 0.000 0.800
Mg: 0.000 0.500 0.000
Nd: 0.000 0.000 0.000


(3)
A plane-wave DFT calculation with GGA+U was carried out for an optimized crystal structure of LaMo2O5.

- VASP energy: -0.2757 Ha/atom
- Calculated formation energy: -2.311 eV/atom
- Space group: P6_3mc, No. 186
- Total moment: 48.80 μB/cell
- E (MP2020): -0.6418 Ry per atom

Unit cell a=8.894 b=8.894 c=18.968 alpha=90.00 beta=90.00 gamma=120.00
Element x y z (fractional)
O: 0.008 0.333 0.491
O: 0.333 0.667 0.241
O: 0.667 0.333 0.894
O: 0.667 0.992 0.491
O: 0.333 0.667 0.394
O: 0.667 0.333 0.741
O: 0.667 0.675 0.491
O: 0.566 0.131 0.617
O: 0.210 0.105 0.618
O: 0.995 0.664 0.746
O: 0.667 0.333 0.234
O: 0.225 0.451 0.610
O: 0.675 0.667 0.991
O: 0.549 0.775 0.610
O: 0.331 0.336 0.246
O: 0.336 0.005 0.746
O: 0.333 0.667 0.734
O: 0.227 0.454 0.891
O: 0.992 0.325 0.991
O: 0.227 0.773 0.891
O: 0.675 0.008 0.991
O: 0.434 0.869 0.117
O: 0.333 0.008 0.991
O: 0.336 0.331 0.746
O: 0.008 0.675 0.491
O: 0.992 0.667 0.991
O: 0.105 0.210 0.118
O: 0.775 0.549 0.110
- - -

He pulled up the collar of his jacket and approached the warehouse with his hands in his pocket, the fingers of his right hand wrapped around the handle of his gun.

The warehouse had a red brick exterior and seemed to a remnant from the previous century. The rusted iron shutters along with graffiti adorning its walls informed Arthur of its abandoned status. He looked around and noticed a driveway that led around the building. The width of the path would allow two large trucks to pass side by side, and suggested that it likely led to a loading bay.

Arthur approached the building and hugged the wall as he turned the corner into the driveway. There he saw the black sedan once more; its trunk was popped open, and it was parked with its rear pointed towards a half open garage door.

Arthur felt his heartbeat quicken. Whatever was in the trunk must have been a handful. He gulped as he steeled his resolve, and prepared himself to duck under the half open shutter. It was the moment of truth; once he crossed the threshold, he would come face to face either with his nemesis, or a very confused warehouse owner. After summing up all he had seen so far, Arthur was willing to bet on the former.

He used his thumb to cock back the hammer of his revolver, and tightened his grip around the handle. The inside of the warehouse was dark, so Arthur closed his eyes for a few seconds to let his pupils adjust to darkness before he moved in. He took in a sharp breath before his breach training kicked in and he no longer hesitated.

He ducked and stepped through the low opening before immediately coming up on the other side and establishing stable footing. He took a few quick steps into the open space, his eyes scanning for movement and his hand followed his vision with the gun. Arthur then ducked behind a concrete pillar, taking cover as he scanned his surroundings further. The morning sunlight pouring in through a few holes in the high ceiling was the only source of illumination.

Now that he was indoors and was no longer harassed by the strong winds that frequented the bank of the East River, Arthur could hear a faint noise coming from deeper within the warehouse. He stopped his breathing so that he could hear the sound more clearly, but took in a sharp breath when he figured out what he was listening to.

To him, it sounded like whimpering; a sound he had heard many times before, but only after the victims had been already rescued. Arthur steadied his shaking hand, now almost certain that the man he had followed was Logan Hartman, who was also likely to be the man who had earned the moniker of Ultimate Copycat from the Bureau.

Rage clouded Arthur's face as he remembered his daughter's killer. He grit his teeth for moment, but then took a few deep breaths to regain his calm, his anger now cold fury that burned quietly within.

It would probably be wise of him to back off now, and go to the nearest telephone booth to call any of his old friends. But Arthur knew that if he left now, it would be too late to save the girl whose pained cries he was hearing. He had spend years wishing someone like him was present to save his daughter, and he was unable to abandon this innocent child to the same cruel fate.

He held up his gun once more as he left his cover and moved towards the source of the noise. Although he tried to move gently, the empty warehouse amplified the sound of his steps, making it almost certain that his position had been given away.

He turned a corner and found the source of the disturbance. His eyes shot wide as he processed what he was seeing. In front of was a young woman, the same one he had seen leaving the club with Logan earlier. There was a tight gag on her mouth, and she had her hands tied behind her back. A noose was tightened around her neck and the attached rope which extended into the rafters was pulled taught, forcing the girl on to the tip of her toes.

Below her feet supporting her weight was a shaky stack of books, and she tied her best to maintain her balance, for if she slipped, she would be strangled to death by the rope around her neck. Arthur recognised the books that made up the stack, for he had authored them himself.

The girl spotted Arthur only a moment after he had spotted her, and immediately her quiet cries became louder as she tried to shout for his attention. In her excitement, her foot slipped and she knocked over one of the stacks she was standing on. The increased pressure on her neck made her panic, as she then knocked over the other stack too.

The girl was now fully suspended by the neck, as she writhed like a fish out of water, her loud muffled cried echoing through the empty warehouse. Arthur tried to aim at the rope that was supporting her weight, but her movement made it swing erratically and it was impossible to get a good shot.

"God Fucking Dammit!" he cursed. Arthur was smart enough to realize his target had lured him into a trap, but the man was nowhere in sight. Logan could be in any darkened corner of the warehouse, observing him through a scope. Arthur needed to save the girl, as it was the only to figure out where his nemesis was without eating a few bullets.

Having come to his decision, Arthur no longer hesitated. He sprinted over to the girl and wrapped his arms around her legs, pinning her knees to his chest and pushing her up, taking the suffocating pressure off her neck.

"Hold Still!" he commanded as he reached up and attempted to undo the bindings on her wrists. He hoped the girl would be able to then help herself out of her noose, as he could not reach it himself. He could not see what he was doing as the girls wrists were on the other side of her body to him, and one of his hands was occupied by his revolver.

"Where is he!" Arthur asked despite knowing girl could not answer him at the moment.

As he scrambled to undo the bindings, loud whimpering which had died down flared up again, but before Arthur could pinpoint what was wrong, he received an unexpected response.

"Right Here!" a voice answered his question. Before Arthur could turn around, a metal pipe hit him across the back of head, causing him to fall the ground lapsing in and out of consciousness. His revolver clattered on to the floor next to him, which he then saw get kicked into the distance by a socked foot.

He also saw two bare feet kicking around in the air next to him and he realized that the girl was once more hanging by her neck. He rolled his sluggish body over and positioned himself under her, so that she could find find some perchage by standing on his body and extend her life by a few more moments.

This was not an act born out of altruism, but the best move his battered brain could come up with the moment. He trusted the profile he had created, and he knew his nemesis liked to psychologically torture his victims before killing them.

In this time, Logan had walked a few steps away to secure the handgun he had kicked to the side after realizing that Arthur was dowm for the count.

"Mr. Hayes, what a pleasure it is to finally meet you." Logan said as he picked up the gun and turned to look at Arthur. When he noticed his idol had placed himself under the feet of his latest prey, Logan clicked his tongue in disapproval.

"You finally found me, I thought It would take you a few more clues, but you're not a legend for nothing." He said as he approached Arthur.

He stood in front of two latest victims as he spoke once more. "Here, let take some load off of you." he said politely, before pulling out a pocket knife dragging it straight across the abdomen of the young woman who was now standing on Arthur as her last resort.

She screamed as loudly as she could muster though her gag as her guts spilled out and fell onto Arthur below. She continued to struggle for a few more moments before she went completely limp and Arthur no longer had to support her weight.

"Much better, isn't it?" Logan asked with a teasing look on his face.

Arthur did not respond, and only stared ahead dazedly. Logan chucked at his response before saying something he know would grab his attention. "I suppose you want to know what Cassie's last words were?"

The look on Arthur's face changed as it warped into a blend of fury and sorrow.

"Hahaha!" Logan chortled loudly very pleased with his work. " Fine, fine. Don't look at me like that, I'll tell you.. She said that her daddy would find me.. ha! I suppose she was right after all." Logan mused.

"Tough nut to crack, that one. But all I had to do was convince her that daddy would not be coming to save her. That you had abandoned her. Then she too cried and begged like all the rest." Logan said as he looked at the girl's hanging body with a reminiscent smile on his face.

"You must be curious about why I did it?" he asked as he focused on Arthur once more.

"I already know why you did it!" Arthur spat back.

"Oh? Do enlighten me." Logan asked teasingly.

"A mix of narcissistic personality disorder, attention seeking, and fetishism.. but most importantly, childhood abuse." Arthur said with a fierce glint in his eyes as he sat back up.

Logan was no longer smiling as he now pointed his gun at Arthur. "Shut up! What do you know?"

"I know a lot, Logan. Was it your uncle? While your father was away for the war? Or was it your coach?" Arthur said with a teasing tone in his voice.

"To cope with your trauma, you started hurting the animals you trapped in the woods behind your house. Eventually, you wondered what it would be like to do the same to another person, preferably to your abuser... but you didn't know how.. and that's when you found my book." Arthur continued without bothering to hide his ridicule any longer.

"You were sloppy Logan, the reason it took me so long to find you is because of the vermin who followed your example, muddying the waters. You don't even have half the number of victims as The Werewolf, and you are nowhere near as cunning.. now, that was a hard case to crack." It was now Arthur's turn to reminisce as he sat with his arms resting on his knees, completely ignoring the swaying body dripping blood all around him.

He could see the veins on Logan's forehead bulging in response to his words. For a narcissist like him, dismissing him as mediocre was the worst thing you could do. As such, it was entirely within Arthur's expectations when Logan lunged at him looking to pommel him with the handle of the revolver.

Arthur had been waiting for this exact moment as the hand resting on his knee reached into his boot and pulled out his old paratrooper knife, which he then lashed across Logan's inner thigh.

Logan screamed and reacted to the sudden attack by pulling the trigger of his revolver, hitting Arthur in the middle of his chest. Although he had worn a bulletproof vest, it could not protect him from the high caliber of his very own gun, which he had ironically selected so that he could kill his target even if they wore protection.

Arthur collapsed to the ground, blood seeping out from his wound staining his shirt red, and pooling on the ground in front of him. He saw Logan hobble off into the distance until his vision started to blur. A slight smile hung on his lips.

The Copycat was as good as dead. The man had cleverly led Arthur into a trap and disarmed him of his weapon, but the man's fragile psychological state became his undoing. He would either bleed to death from the cut femoral artery, or end up in a hospital where he would be heavily questioned and found out. Not to mention the gunshot would attract anyone nearby, and they would find two bodies when they came to investigate.

Arthur had accomplished his goal; he had avenged his little girl. The emotional relief brought by his success caused his eyes to warer. Tears rolled out from the corner of his eyes as he thought about his daughter in his last moments. Faith was a difficult thing to maintain in his line of work, and Arthur had never been religious. But in this moment, he found himself wishing the afterlife was real, so that he could see Cassandra once more, so that he could hold her in his arms again, and tell her he was sorry for not being there.

Arthur felt the pain start in his chest start to melt away as his consciousness began to fade.. The world around him darkened as the life of the greatest detective in the world came to an end following his last hunt.


"Hmm?" Arthur asked himself in confusion. He was sure he had died, but now he felt as if he had only woken up from a long nap. Did someone get to him before he kicked the bucket and bring him to a hospital? He willed his heavy eyelids open only to be stunned at the sight that greeted him.

He stood by himself in a grand hall facing twelve large thrones which arranged in a semicircle, all but one of them occupied. He stood facing the center of the formation, and his eyes settled on the being directly in front of him, sitting elegantly on one of the two central seats; a woman more beautiful than anything he knew could be possible.

As Arthur's mind was reeling in an attempt to understand what was happening, the woman spoke to him, her silky voice carrying across the large hall.

'''
First-principles (meta-GGA r2SCAN) data for Rb3Au7 after structural relaxation, as listed in the Materials Project.

It has space group Cmmm (No. 65), with a = 5.642 Å, b = 13.489 Å, c = 7.268 Å, α = 90.00°, β = 90.00° and γ = 90.00°. The inequivalent atoms are Rb at (0.000, 0.000, 0.000), Rb at (0.000, 0.163, 0.500), Au at (0.000, 0.392, 0.196), Au at (0.000, 0.500, 0.500) and Au at (0.250, 0.250, 0.000).

The calculation puts the spin magnetization at 0.00 μB/f.u. The value obtained for the theoretical density is 9.819 g/cm³. As for the crystal system: orthorhombic. The calculation puts the formation energy at -0.32 eV/atom.


First-principles (meta-GGA r2SCAN) data for RbAu after structural relaxation, as listed in the Materials Project.

It has space group Pm-3m (No. 221), with a = 4.105 Å, b = 4.105 Å, c = 4.105 Å, α = 90.00°, β = 90.00° and γ = 90.00°. The inequivalent atoms are Rb at (0.000, 0.000, 0.000) and Au at (0.500, 0.500, 0.500).

The calculation puts the spin magnetization at 0.00 μB/f.u. The value obtained for the theoretical density is 6.782 g/cm³. As for the crystal system: cubic. The calculation puts the formation energy at -0.31 eV/atom.


First-principles (meta-GGA r2SCAN) data for Rb3Sb2Au3 after structural relaxation, as listed in the Materials Project.

It has space group R-3m (No. 166, hexagonal axes), with a = 6.5302 Å, b = 6.5302 Å, c = 21.9296 Å, α = 90.00°, β = 90.00° and γ = 120.00°. The inequivalent atoms are Rb at (0.0000, 0.0000, 0.0000), Rb at (0.0000, 0.0000, 0.4194), Sb at (0.0000, 0.0000, 0.2528) and Au at (0.0000, 0.5000, 0.5000).

The calculation puts the spin magnetization at 0.00 μB/f.u. The value obtained for the theoretical density is 6.710 g/cm³. As for the crystal system: trigonal. The calculation puts the formation energy at -0.55 eV/atom.


First-principles (meta-GGA r2SCAN) data for RbAuSe after structural relaxation, as listed in the Materials Project.

It has space group Cmcm (No. 63), with a = 6.838 Å, b = 8.380 Å, c = 6.909 Å, α = 90.00°, β = 90.00° and γ = 90.00°. The inequivalent atoms are Rb at (0.000, 0.134, 0.250), Au at (0.000, 0.500, 0.000) and Se at (0.000, 0.295, 0.750).

The calculation puts the spin magnetization at 0.00 μB/f.u. The value obtained for the theoretical density is 6.062 g/cm³. As for the crystal system: orthorhombic. The calculation puts the formation energy at -0.86 eV/atom.


Question: Look up the spin magnetization of the third one.
Answer: 0.00 μB/f.u.
'''

"Welcome, Arthur." she said.